=====
16
Lattice="-1.547 5.406 -3.307 0.556 -5.599 -3.300 -10.199 -1.948 1.588" Properties=species:S:1:pos:R:3 comment="CaCeMg14 | the Materials Project | GGA-PBE | relaxed" formation_enthalpy_0k_ev_per_atom=0.06 final_energy_ev_per_atom=-1.84 polymorph_energy_mev_per_atom=17 magnetic_moment_mub_per_fu=1.07 pbc="T T T"
Mg -5.173 -1.940 -0.861
Mg -7.794 -3.390 -2.111
Mg -8.030 -0.589 -0.452
Mg -0.079 -0.948 -1.668
Mg -5.945 0.761 -2.511
Mg -3.008 0.370 -1.234
Ce 0.212 -3.799 -3.301
Mg -3.755 3.102 -2.908
Mg -0.569 -1.044 -4.937
Mg -2.696 -2.417 -2.905
Ca -0.842 1.714 -3.304
Mg -5.667 -2.037 -4.156
Mg -8.844 2.130 -2.116
Mg -8.531 -0.686 -3.786
Mg -4.895 -4.736 -2.507
Mg -3.509 0.273 -4.568



4
Lattice="0.000 3.428 3.428 3.428 0.000 3.428 3.428 3.428 0.000" Properties=species:S:1:pos:R:3 comment="HoPaOs2 | the Materials Project | GGA-PBE | relaxed" formation_enthalpy_0k_ev_per_atom=-0.23 final_energy_ev_per_atom=-9.36 magnetic_moment_mub_per_fu=0.00 pbc="T T T"
Os 5.142 5.142 5.142
Pa 0.000 0.000 0.000
Os 1.714 1.714 1.714
Ho 3.428 3.428 3.428



50
Lattice="-8.092 2.710 -2.406 -1.034 -7.369 -4.821 -1.929 -2.289 3.912" Properties=species:S:1:pos:R:3 comment="B | the Materials Project | GGA-PBE | relaxed" formation_enthalpy_0k_ev_per_atom=0.10 final_energy_ev_per_atom=-6.58 polymorph_energy_mev_per_atom=98 pbc="T T T"
B -3.825 -1.071 -1.969
B -7.912 -4.788 -3.144
B -6.493 -3.827 -3.007
B 0.000 0.000 0.000
B -5.356 -6.352 -2.673
B -9.014 -4.144 -4.313
B -3.135 -6.779 0.105
B -4.828 -5.015 -1.548
B -2.589 -3.520 -0.820
B -5.528 -3.474 -1.658
B -2.797 -2.538 -2.321
B -2.730 -0.936 0.663
B -8.160 -4.306 -5.878
B -6.667 -2.522 -4.220
B -4.028 -3.264 1.847
B -5.888 -6.326 -0.947
B -9.486 -2.026 -0.247
B -7.119 -0.829 -1.354
B -6.642 -2.424 -0.927
B -8.103 -2.997 -3.234
B -2.603 -6.805 -1.620
B -3.651 -5.780 -2.541
B -8.289 -2.164 -1.669
B -5.361 -7.916 -1.658
B -8.273 -2.677 -5.063
B -5.640 -3.989 -4.572
B -6.551 -5.136 -5.652
B -4.311 -1.061 -0.230
B -3.130 -5.215 -0.909
B -1.703 -2.403 0.311
B -4.147 -2.629 -1.149
B -2.939 0.046 -0.838
B -8.671 -5.634 -1.830
B -4.560 -5.648 0.105
B -3.663 -8.116 -1.020
B -6.501 0.065 -2.710
B -6.758 -2.509 0.857
B -8.907 -0.628 0.775
B -1.380 -0.845 -0.509
B -3.429 -2.499 0.407
B -3.931 -7.483 -2.672
B -2.910 -5.062 -3.939
B -6.381 -5.456 -3.823
B -7.463 0.134 0.043
B -8.086 -3.187 -0.195
B -7.260 -0.889 1.517
B -1.217 -2.413 -1.428
B -8.791 -0.544 -1.009
B -6.063 -1.027 0.094
B -7.986 -5.610 -4.665



77
Lattice="6.543 0.000 0.000 -0.055 8.570 0.000 -1.040 -2.834 14.725" Properties=species:S:1:pos:R:3 comment="Sr8Li2B22H2O43 | the Materials Project | GGA-PBE | relaxed" formation_enthalpy_0k_ev_per_atom=-2.99 final_energy_ev_per_atom=-7.59 magnetic_moment_mub_per_fu=0.00 pbc="T T T"
Sr 3.758 7.266 5.610
O 1.574 6.438 6.607
B 5.336 6.321 1.503
B 5.840 1.533 6.193
O -0.391 1.459 7.569
O 5.663 -1.119 9.717
H 2.629 5.592 13.882
B 3.859 1.437 4.464
O 3.056 7.108 3.127
B 2.229 -0.008 12.067
B 3.167 3.870 4.575
B 0.112 -0.585 13.222
Sr 5.490 1.315 10.802
Li 3.685 1.204 7.740
O -0.520 -1.417 7.363
O 2.460 1.053 4.732
O 1.925 1.607 7.014
O 2.931 0.165 13.463
O 0.605 2.593 2.212
B 4.490 4.311 6.779
O 5.195 3.961 9.477
B 0.298 6.802 6.274
O 0.935 5.276 11.105
O 2.607 4.777 3.567
B 2.281 1.866 10.151
O 0.273 -0.223 14.663
O 3.958 2.797 3.949
O 4.513 0.460 3.621
B 5.129 3.155 13.819
O 5.179 -0.417 12.845
O 2.392 -1.372 11.598
O 3.425 2.353 9.362
O 0.916 4.386 8.846
O 5.520 2.581 0.427
Sr 3.231 3.015 1.558
O 3.874 -0.702 8.119
B 3.219 5.744 2.658
Li 1.763 4.532 6.985
O 4.190 4.624 5.473
B 1.589 4.299 10.261
O 4.843 3.143 12.513
O 5.175 5.959 0.063
O -0.072 3.155 14.298
O 2.988 4.683 9.993
O 4.613 5.379 2.364
Sr 1.690 -1.530 9.115
B 1.237 5.910 0.945
O 2.023 3.383 5.363
Sr -0.042 4.421 3.923
O 4.992 7.712 1.729
O 3.523 4.129 7.711
B 3.739 3.768 9.150
O 2.517 5.571 1.262
B 0.319 2.581 0.906
Sr 4.901 5.714 11.475
=====

What is needed: return the lines further above up to the one that holds "5.473", that line included.

16
Lattice="-1.547 5.406 -3.307 0.556 -5.599 -3.300 -10.199 -1.948 1.588" Properties=species:S:1:pos:R:3 comment="CaCeMg14 | the Materials Project | GGA-PBE | relaxed" formation_enthalpy_0k_ev_per_atom=0.06 final_energy_ev_per_atom=-1.84 polymorph_energy_mev_per_atom=17 magnetic_moment_mub_per_fu=1.07 pbc="T T T"
Mg -5.173 -1.940 -0.861
Mg -7.794 -3.390 -2.111
Mg -8.030 -0.589 -0.452
Mg -0.079 -0.948 -1.668
Mg -5.945 0.761 -2.511
Mg -3.008 0.370 -1.234
Ce 0.212 -3.799 -3.301
Mg -3.755 3.102 -2.908
Mg -0.569 -1.044 -4.937
Mg -2.696 -2.417 -2.905
Ca -0.842 1.714 -3.304
Mg -5.667 -2.037 -4.156
Mg -8.844 2.130 -2.116
Mg -8.531 -0.686 -3.786
Mg -4.895 -4.736 -2.507
Mg -3.509 0.273 -4.568



4
Lattice="0.000 3.428 3.428 3.428 0.000 3.428 3.428 3.428 0.000" Properties=species:S:1:pos:R:3 comment="HoPaOs2 | the Materials Project | GGA-PBE | relaxed" formation_enthalpy_0k_ev_per_atom=-0.23 final_energy_ev_per_atom=-9.36 magnetic_moment_mub_per_fu=0.00 pbc="T T T"
Os 5.142 5.142 5.142
Pa 0.000 0.000 0.000
Os 1.714 1.714 1.714
Ho 3.428 3.428 3.428



50
Lattice="-8.092 2.710 -2.406 -1.034 -7.369 -4.821 -1.929 -2.289 3.912" Properties=species:S:1:pos:R:3 comment="B | the Materials Project | GGA-PBE | relaxed" formation_enthalpy_0k_ev_per_atom=0.10 final_energy_ev_per_atom=-6.58 polymorph_energy_mev_per_atom=98 pbc="T T T"
B -3.825 -1.071 -1.969
B -7.912 -4.788 -3.144
B -6.493 -3.827 -3.007
B 0.000 0.000 0.000
B -5.356 -6.352 -2.673
B -9.014 -4.144 -4.313
B -3.135 -6.779 0.105
B -4.828 -5.015 -1.548
B -2.589 -3.520 -0.820
B -5.528 -3.474 -1.658
B -2.797 -2.538 -2.321
B -2.730 -0.936 0.663
B -8.160 -4.306 -5.878
B -6.667 -2.522 -4.220
B -4.028 -3.264 1.847
B -5.888 -6.326 -0.947
B -9.486 -2.026 -0.247
B -7.119 -0.829 -1.354
B -6.642 -2.424 -0.927
B -8.103 -2.997 -3.234
B -2.603 -6.805 -1.620
B -3.651 -5.780 -2.541
B -8.289 -2.164 -1.669
B -5.361 -7.916 -1.658
B -8.273 -2.677 -5.063
B -5.640 -3.989 -4.572
B -6.551 -5.136 -5.652
B -4.311 -1.061 -0.230
B -3.130 -5.215 -0.909
B -1.703 -2.403 0.311
B -4.147 -2.629 -1.149
B -2.939 0.046 -0.838
B -8.671 -5.634 -1.830
B -4.560 -5.648 0.105
B -3.663 -8.116 -1.020
B -6.501 0.065 -2.710
B -6.758 -2.509 0.857
B -8.907 -0.628 0.775
B -1.380 -0.845 -0.509
B -3.429 -2.499 0.407
B -3.931 -7.483 -2.672
B -2.910 -5.062 -3.939
B -6.381 -5.456 -3.823
B -7.463 0.134 0.043
B -8.086 -3.187 -0.195
B -7.260 -0.889 1.517
B -1.217 -2.413 -1.428
B -8.791 -0.544 -1.009
B -6.063 -1.027 0.094
B -7.986 -5.610 -4.665



77
Lattice="6.543 0.000 0.000 -0.055 8.570 0.000 -1.040 -2.834 14.725" Properties=species:S:1:pos:R:3 comment="Sr8Li2B22H2O43 | the Materials Project | GGA-PBE | relaxed" formation_enthalpy_0k_ev_per_atom=-2.99 final_energy_ev_per_atom=-7.59 magnetic_moment_mub_per_fu=0.00 pbc="T T T"
Sr 3.758 7.266 5.610
O 1.574 6.438 6.607
B 5.336 6.321 1.503
B 5.840 1.533 6.193
O -0.391 1.459 7.569
O 5.663 -1.119 9.717
H 2.629 5.592 13.882
B 3.859 1.437 4.464
O 3.056 7.108 3.127
B 2.229 -0.008 12.067
B 3.167 3.870 4.575
B 0.112 -0.585 13.222
Sr 5.490 1.315 10.802
Li 3.685 1.204 7.740
O -0.520 -1.417 7.363
O 2.460 1.053 4.732
O 1.925 1.607 7.014
O 2.931 0.165 13.463
O 0.605 2.593 2.212
B 4.490 4.311 6.779
O 5.195 3.961 9.477
B 0.298 6.802 6.274
O 0.935 5.276 11.105
O 2.607 4.777 3.567
B 2.281 1.866 10.151
O 0.273 -0.223 14.663
O 3.958 2.797 3.949
O 4.513 0.460 3.621
B 5.129 3.155 13.819
O 5.179 -0.417 12.845
O 2.392 -1.372 11.598
O 3.425 2.353 9.362
O 0.916 4.386 8.846
O 5.520 2.581 0.427
Sr 3.231 3.015 1.558
O 3.874 -0.702 8.119
B 3.219 5.744 2.658
Li 1.763 4.532 6.985
O 4.190 4.624 5.473